story and photos Dawn Cosnotti Morris © 2016
/*
[1]
Computed powder diffraction line list
Compound: HoPu2Si2Pt7
Radiation: Cu Kα (λ = 1.5418 Å)
Structure: a structure optimized by DFT (PBE)

Top 10 peaks for 15° ≤ 2θ ≤ 90°, low angle first:
2θ/deg, I_rel
25.98, 26
32.06, 34
32.64, 33
34.06, 34
34.66, 66
35.74, 80
37.16, 100
44.77, 69
44.95, 34
76.28, 31

Cell and atoms:
```
HoPu2Si2Pt7
1.0
2.8810 -2.8510 0.0000
2.8810 2.8510 0.0000
-1.9383 0.0000 13.7171
Ho Pu Si Pt
1 2 2 7
direct
0.0000 0.0000 0.0000
0.1065 0.1065 0.3615
0.8935 0.8935 0.6385
0.4141 0.4141 0.7472
0.5859 0.5859 0.2528
0.0538 0.5531 0.1586
0.3783 0.3783 0.5756
0.4469 0.9462 0.8414
0.5000 0.5000 0.0000
0.5531 0.0538 0.1586
0.6217 0.6217 0.4244
0.9462 0.4469 0.8414
```

***

[2]
Computed powder diffraction line list
Compound: DyZn2Ni5
Radiation: Cu Kα (λ = 1.5418 Å)
Structure: a structure optimized by DFT (PBE)

Top 10 peaks for 15° ≤ 2θ ≤ 90°, low angle first:
2θ/deg, I_rel
30.63, 23
33.60, 64
36.72, 62
38.69, 100
43.90, 16
46.69, 73
49.77, 34
52.68, 29
53.46, 16
70.63, 36

Cell and atoms:
```
DyZn2Ni5
1.0
3.6638 0.0000 0.0000
0.0000 6.3274 0.0000
0.0000 0.0000 9.8674
Dy Zn Ni
2 4 10
direct
0.0000 0.0000 0.0000
0.5000 0.5000 0.5000
0.0000 0.5000 0.2411
0.0000 0.5000 0.7589
0.5000 0.0000 0.2589
0.5000 0.0000 0.7411
0.0000 0.1923 0.3755
0.0000 0.1923 0.6245
0.0000 0.5000 0.0000
0.0000 0.8077 0.3755
0.0000 0.8077 0.6245
0.5000 0.0000 0.5000
0.5000 0.3077 0.1245
0.5000 0.3077 0.8755
0.5000 0.6923 0.1245
0.5000 0.6923 0.8755
```

***

[3]
Computed powder diffraction line list
Compound: CaMo3H
Radiation: Cu Kα (λ = 1.5418 Å)
Structure: a structure optimized by DFT (PBE)

Top 10 peaks for 15° ≤ 2θ ≤ 90°, low angle first:
2θ/deg, I_rel
21.05, 9
29.95, 7
36.89, 100
42.86, 49
48.22, 4
53.17, 3
62.23, 31
66.47, 2
74.59, 36
78.52, 11

Cell and atoms:
```
CaMo3H
1.0
4.2198 0.0000 0.0000
0.0000 4.2198 0.0000
0.0000 0.0000 4.2198
Ca Mo H
1 3 1
direct
0.0000 0.0000 0.0000
0.0000 0.5000 0.5000
0.5000 0.0000 0.5000
0.5000 0.5000 0.0000
0.5000 0.5000 0.5000
```

***

[4]
Computed powder diffraction line list
Compound: TmMg4Cd4
Radiation: Cu Kα (λ = 1.5418 Å)
Structure: a structure optimized by DFT (PBE)

Top 10 peaks for 15° ≤ 2θ ≤ 90°, low angle first:
2θ/deg, I_rel
26.28, 30
28.67, 100
30.22, 38
31.81, 65
36.14, 19
38.63, 65
38.80, 33
43.05, 57
56.09, 23
70.16, 26

Cell and atoms:
```
TmMg4Cd4
1.0
6.5582 0.0000 0.0000
0.0000 6.5582 0.0000
0.0000 0.0000 9.9414
Tm Mg Cd
2 8 8
direct
0.2500 0.7500 0.2500
0.7500 0.2500 0.7500
0.0303 0.2500 0.1764
0.2500 0.0303 0.6764
0.2500 0.4697 0.6764
0.4697 0.2500 0.1764
0.5303 0.7500 0.8236
0.7500 0.5303 0.3236
0.7500 0.9697 0.3236
0.9697 0.7500 0.8236
0.0155 0.2500 0.4715
0.2500 0.0155 0.9715
0.2500 0.4845 0.9715
0.4845 0.2500 0.4715
0.5155 0.7500 0.5285
0.7500 0.5155 0.0285
0.7500 0.9845 0.0285
0.9845 0.7500 0.5285
```

***

[5]
Computed powder diffraction line list
Compound: HoEr5Tm
Radiation: Cu Kα (λ = 1.5418 Å)
Structure: a structure optimized by DFT (PBE)
*/
This story took a long ass time. I was lost at Okeechobee (literally, not figuratively), and I wandered past a stage that literally had energy pouring off it in waves. The band, unknown to me at the time, had truly mesmerized a crowd. I snapped a couple of shots from amongst the masses and moved on. I met a vendor there, she had a lovely daughter she wanted to introduce me to but our paths never crossed. Six weeks go by and I am in Gulf Shores. The only Starbucks for miles is in a Target. In a creepy, non-stalker (swear) way, I see the missing daughter (as mom and I are now IG buddies). The daughter came as a guest of the unknown band. So now my vibe lovin’ universe trusting self-kicks in (coffee helps) and I recognize serendipity when it smacks me in a super store in Alabama. Daughter asks if I will shoot the band. I say I will be so far away, and sand jogging with 17 lbs. of gear is not my favorite workout so I would probably miss them again. I didn’t. The stars aligned, the crowds parted and I took a shortcut through VIP. When I landed in the pit the band I now know as Nahko and Medicine for the People is 1 song in and I am hooked. I do my bit then I actually stay to listen, a rare occurrence. It’s more than the sound, which is sort of genre bending. It’s more than singer Nahko Bear’s awesomely unique tone. It’s more than seeing hordes of clearly devoted followers. I had to piece it together. It was the message. The gentlemen had a story to tell, causes to advocate, a message to send. I went back to my room that night and my old friend Google had some crazy things to say. Social media showed fans who were not band worshipping but rather thankful for comfort and direction. I’m not going to review the music here- you need to go listen ( I am not going to begin to list the endless causes that are fueled by Nahko’s passion, check them out here
## Next to the text, the page also holds records of crystals
~~~
Entry 1:
Theoretical PXRD pattern of K2Cd9In3 for Cu Kα X-rays, from a cell relaxed with GGA-PBE.
Peak positions follow from Bragg's law for the DFT cell and can differ from measured ones.

Principal peaks in the range 10 to 90 degrees two-theta, in order of rising 2θ:
2θ/deg  d [Å]  I/Imax
14.02  6.318  41
32.03  2.794  37
32.23  2.777  100
34.18  2.624  86
34.75  2.582  47
34.95  2.567  34
38.28  2.351  60
38.80  2.321  27
39.49  2.282  36
60.06  1.540  25

Cell: 8.994 8.994 10.595 Å, 90.00 90.00 61.06°
Positions (direct):
K (0.005, 0.679, 0.750)
K (0.321, 0.995, 0.750)
K (0.679, 0.005, 0.250)
K (0.995, 0.321, 0.250)
Cd (0.019, 0.656, 0.091)
Cd (0.019, 0.656, 0.409)
Cd (0.149, 0.851, 0.250)
Cd (0.340, 0.660, 0.550)
Cd (0.340, 0.660, 0.950)
Cd (0.344, 0.981, 0.091)
Cd (0.344, 0.981, 0.409)
Cd (0.354, 0.453, 0.250)
Cd (0.453, 0.354, 0.750)
Cd (0.547, 0.646, 0.250)
Cd (0.646, 0.547, 0.750)
Cd (0.656, 0.019, 0.591)
Cd (0.656, 0.019, 0.909)
Cd (0.660, 0.340, 0.050)
Cd (0.660, 0.340, 0.450)
Cd (0.851, 0.149, 0.750)
Cd (0.981, 0.344, 0.591)
Cd (0.981, 0.344, 0.909)
In (0.000, 0.000, 0.000)
In (0.000, 0.000, 0.500)
In (0.313, 0.313, 0.000)
In (0.313, 0.313, 0.500)
In (0.687, 0.687, 0.000)
In (0.687, 0.687, 0.500)

Entry 2:
Theoretical PXRD pattern of K2Mg3CdIn12 for Cu Kα X-rays, from a cell relaxed with GGA-PBE.
Peak positions follow from Bragg's law for the DFT cell and can differ from measured ones.

Principal peaks in the range 10 to 90 degrees two-theta, in order of rising 2θ:
2θ/deg  d [Å]  I/Imax
14.54  6.091  38
15.64  5.666  47
17.14  5.175  43
24.96  3.568  39
29.33  3.045  100
34.67  2.587  54
36.83  2.440  36
38.24  2.354  54
44.63  2.030  42
48.32  1.883  48

Cell: 12.137 12.137 12.137 Å, 36.16 36.16 36.16°
Positions (direct):
K (0.148, 0.148, 0.148)
K (0.852, 0.852, 0.852)
Mg (0.000, 0.500, 0.500)
Mg (0.500, 0.000, 0.500)
Mg (0.500, 0.500, 0.000)
Cd (0.500, 0.500, 0.500)
In (0.084, 0.084, 0.683)
In (0.084, 0.683, 0.084)
In (0.137, 0.578, 0.578)
In (0.317, 0.916, 0.916)
In (0.422, 0.422, 0.863)
In (0.422, 0.863, 0.422)
In (0.578, 0.137, 0.578)
In (0.578, 0.578, 0.137)
In (0.683, 0.084, 0.084)
In (0.863, 0.422, 0.422)
In (0.916, 0.317, 0.916)
In (0.916, 0.916, 0.317)

----------

Calculated powder diffractogram
Compound: LaThTe6
Radiation: a wavelength of 1.5418 Å
Structure: a cell relaxed with GGA-PBE
Intensities are scaled so that the largest is 100.

Top 10 peaks for 2θ from 10° to 80°, low angle first:
two_theta  intensity
13.2  23
26.5  37
28.4  25
30.0  100
32.8  52
33.3  21
36.8  38
40.3  58
48.9  28
67.0  20

Atomic structure:
a = 4.4723 Å, b = 4.4714 Å, c = 26.9170 Å
α = 90.00°, β = 90.00°, γ = 90.00°
Fractional positions:
La  0.0000  0.0000  0.0000
La  0.0000  0.5000  0.5000
Th  0.5000  0.0000  0.3388
Th  0.5000  0.5000  0.8388
Te  0.0000  0.0000  0.2488
Te  0.0000  0.0000  0.5925
Te  0.0000  0.0000  0.8737
Te  0.0000  0.5000  0.0925
Te  0.0000  0.5000  0.3737
Te  0.0000  0.5000  0.7488
Te  0.5000  0.0000  0.0926
~~~
The band’s 3rd (but first label-backed) album drops June 10. I sent a quick note to a publicist and days later finally got to hear what went on behind those words. She said Nahko had 30 minutes; almost an hour later I had to go but knew I had something I needed to share. So what you get here is a crazy, sad, inspiring and amazing story. A big fat smack upside the head sort of reminder that you control your outcome, sometimes your gift finds you, and music is truly a vehicle.
Without trying to quote Nahko (I ditched the notes early on as what he had to say was so compelling) I will try and share Nahko’s story. He was born 30 years ago to a 14 year old prostitute. When he was 9 months old a very strict Baptist family in Oregon adopted him as they felt raising him was God’s work. Home schooled with a heavy dose of the bible every day, Nahko found solace on the bench of a piano at age 6. Raised on the only classics permitted in his adoptive home, he was a self taught but completely unaware musician. By 16 he was teaching music to other children and at some point even became a community theater director. By 17 he rebelled and was thrown out of his home. Drugs and debauchery logically followed. By 18 he had travelled to Alaska and worked his way into a dinner theater. Enamored with Kerouac, and possessing a nomadic soul, he bounced around the country, just beginning to realize his true musical talents. He got local gigs, he got what was big money to him, smoked a j with some old dude and bought his van. He took his first ever road trip to Cali. He went to Louisiana and lived in a house with 12 people. It was about then the money ran out and the inspiration ran dry. Nahko took a bus to Portland for a job washing dishes. He was Alaska bound but woke up in Canada. He hitched 2,000 miles in 3 days for a job as a cook. While the tale read like a whacked out novel, the highs and lows are not as predictable as one would think., Times were not all bad for Nahko. He discovered a deep love for and connection to nature. He travelled to Hawaii for work trade. Farming there gave Nahko a work ethic; made him what he considers a Man’s Man. Going into the wild allowed room for expansion on ideas about God. Like many on this sort of quest, Nahko wound up at Burning Man. It was there he left early and boarded a plane with no particular goal in mind. The woman in the seat next to him asked where he was headed and he blurted out that he was going to find his birth mother. The moment the words left Nahko’s lips he knew them to be true. A complete stranger validated his journey’s mission. Nahko knew everything about the people who raised him went against his own grain; he wanted to know where he came from. There were keys to finding the young woman, for she had written letter after letter to the child she had to give up. His adoptive family held them until he was 18. The letters were written in 14 year old script and verbage , with the girl closing every letter with I am sorry, please don’t hate me. Signing with her social security number so she could one day be found. And she was. Less than 20 miles from the adoptive home Nahko grew up in he found an address for the woman who gave birth to him. When he went there she had moved out just a number of weeks before. He got her number. He called. She hung up. He called again. Once she was assured it was truly her first born, Nahko met his family. A hole he never knew existed in his heart was now filled. She welcomed her child, despite not being born out of love, with open arms. Nahko had siblings, he had identity, he had cultural heritage. Part of the new found family was a grandmother. It was she who prostituted a young woman. Nahko defends her. She was only doing what she knew, doing what had been done for generations before. It turns out he is Native American, and Puerto Rican, and Philipino. A home was filled with languages he did not yet speak, but a family was complete. All less than 10 blocks from the home he grew up in. Nahko was a changed man. He is not uncomfortable telling his life story nor does he use it to garner attention. In fact, attention seems far from his mind. He and a friend bought some acreage in Hawaii a number of years ago and farm there. They are building a compound of their own, a retreat from the rest of the world-off the grid. That would be an amazing enough ending but it was only another beginning. Nahko and Medicine for the People were formed in 2012. A grassroots campaign began. Social media garnered the band a very organic and loyal following. The first two albums were recorded and distributed by the members themselves. A fan used their music and set it to purchased video footage. Someone sent Nahko a link, he thought it was pretty and was happy for the 5 views it had gotten. The video (see here: ) went viral. Four years later he is still curious about the future and considers himself a newbie in the music industry, but he has clearly found his calling as well as his call to action. He has strong political views; deep concerns about climate change, and involvement in social and environmental movements. Nahko is learning the protocol for direct action but is also putting his music behind it. He wants his music as well as his actions to shift the paradigm; he really just wants people to “wake the fuck up”. Nahko’s life story defines his music. He hopes his transparency allows people to relate in a deeper way, that the vulnerability of sharing will create closeness and courage. Nahko’s music is filled with calls to action, vulnerability, and inspiration. He put all of his deep dark secrets out for the world to see and hear. His sincere hope is his sharing will enable others not to hide.